To give you an idea what the Montebello Islands are, they are an archipelago 40 miles off the mainland in the Indian Ocean, known for its beauty, nature reserves, wild life and in 1952 a 25 kilotonne nuclear device was detonated aboard British ship HMS Plym anchored off the islands. In 1956 there was a 16 kilotonne detonation on Trimouille island and a 98 kilotonne one on Alpha Island also in 1956, the biggest nuclear detonation on Australian soil. These were tests carried out by the British government with permission of the Aussie government (bent over backwards didn’t we?), during a time we had an extraordinarily pro British prime minister. Churchill and Menzies were great mates and the latter was eager to sell Aussie sovereignty off cheaply. One would think the poms had plenty of home grown choices to obliterate. Lords cricket ground for one, they had no use for that…
So, we had the alarm set for 1am at the Great Sandy Island anchorage, but there wasn’t much wind then, so Susie reset the alarm for 3:30am and we went back to sleep. This time there appeared to be a 12 to 15 knot Sou’Easterly, that’s more like it, after a quick muesli and coffee, we weighed anchor in the darkness at 4:10am and so started the 50 mile sail to the islands. Steering out of the anchorage with Susie still on the bow sorting out the anchor, I heard a pop and a tug on the tiller. The chain of the windvane had somehow engaged itself on the tiller and one of the blocks broke. That’s the windvane out of action for today.
Ashiki was fast off the anchor, holding a steady 4.5 to 4.8 knots as Susie steered passed the beacon lights of nearby islands and glows on various points of the horizon, both on the mainland and out to sea. It’s a busy place, still in the heart of Australia’s lucrative oil and gas industry (Aus still a net importer of the black stuff, not producing quite enough for itself, but a big exporter of the gas). The breeze freshened and swung to the East and we’re holding 5 knots on a beam reach, keeping plenty of panels up is working well. Needing to bungy the tiller as there’s some weather helm, not wanting to reduce the helm (the tiller is trying to pull your arms out) by freeing the main sheet, it usually means fast sailing and we want to make the most of this breeze incase it disappears.
We’re having to skirt exclusion zones, because the oil companies are liability mad, there is a big perimeter around Barrow Island. Now that’s a name from both Susie’s and my childhoods, always hearing about the big oil discovery at a place called “Barrow Island”. The glow of the place can be seen over the horizon at night, lit up like a city. Couple hours after sunrise the winds lulled a little, Ashiki is holding 3.5 to 4 knots and not healing much, so I took the opportunity to cook a brunch as Susie was manning the tiller, we had been sailing for 4 hours and feeling a little peckish. Bacon and eggs it is.
+++
(1)
Diffraction record for NaHoMnF6. The X-ray powder pattern is calculated, not measured: it uses DFT lattice parameters and positions (GGA+U) and Cu Kα (λ = 1.5418 Å).
Lines closer than 0.1° are merged.

Structure:
Cell: 5.131 5.131 10.342 Å, 90.00 90.00 90.00°
Sites, in units of the cell vectors:
1 Na 0.000 0.000 0.000
2 Na 0.500 0.500 0.500
3 Ho 0.000 0.000 0.334
4 Ho 0.500 0.500 0.834
5 Mn 0.000 0.000 0.668
6 Mn 0.500 0.500 0.168
7 F 0.184 0.184 0.502
8 F 0.200 0.200 0.823
9 F 0.205 0.205 0.179
10 F 0.295 0.705 0.679
11 F 0.300 0.700 0.323
12 F 0.316 0.684 0.002
13 F 0.684 0.316 0.002
14 F 0.700 0.300 0.323
15 F 0.705 0.295 0.679
16 F 0.795 0.795 0.179
17 F 0.800 0.800 0.823
18 F 0.816 0.816 0.502

Largest 10 diffraction maxima, by intensity, 15 to 90 degrees two-theta:
- 24.5 deg, intensity 100
- 19.3 deg, intensity 85
- 47.6 deg, intensity 72
- 31.3 deg, intensity 67
- 17.1 deg, intensity 30
- 30.1 deg, intensity 28
- 40.3 deg, intensity 25
- 60.4 deg, intensity 25
- 50.3 deg, intensity 20
- 39.2 deg, intensity 16

***

(2)
Diffraction record for HoMoO4F. The X-ray powder pattern is calculated, not measured: it uses DFT lattice parameters and positions (GGA+U) and Cu Kα (λ = 1.5418 Å).
Lines closer than 0.1° are merged.

Structure:
Cell: 6.016 6.016 7.018 Å, 104.48 104.48 75.31°
Sites, in units of the cell vectors:
1 Ho 0.202 0.202 0.109
2 Ho 0.798 0.798 0.891
3 Mo 0.348 0.348 0.720
4 Mo 0.652 0.652 0.280
5 O 0.101 0.484 0.843
6 O 0.259 0.259 0.457
7 O 0.457 0.457 0.225
8 O 0.484 0.101 0.843
9 O 0.516 0.899 0.157
10 O 0.543 0.543 0.775
11 O 0.741 0.741 0.543
12 O 0.899 0.516 0.157
13 F 0.015 0.015 0.830
14 F 0.985 0.985 0.170

Largest 10 diffraction maxima, by intensity, 15 to 90 degrees two-theta:
- 24.2 deg, intensity 100
- 28.2 deg, intensity 84
- 19.6 deg, intensity 63
- 27.1 deg, intensity 50
- 30.9 deg, intensity 44
- 35.4 deg, intensity 31
- 45.2 deg, intensity 30
- 46.8 deg, intensity 29
- 36.7 deg, intensity 27
- 18.4 deg, intensity 22

***

(3)
Diffraction record for HoMoO4F. The X-ray powder pattern is calculated, not measured: it uses DFT lattice parameters and positions (GGA+U) and Cu Kα (λ = 1.5418 Å).
Lines closer than 0.1° are merged.

Structure:
Cell: 5.250 12.413 6.709 Å, 90.00 113.42 90.00°
Sites, in units of the cell vectors:
1 Ho 0.140 0.051 0.300
2 Ho 0.140 0.449 0.800
3 Ho 0.860 0.551 0.200
4 Ho 0.860 0.949 0.700
5 Mo 0.419 0.143 0.868
6 Mo 0.419 0.357 0.368
7 Mo 0.581 0.643 0.632
8 Mo 0.581 0.857 0.132
9 O 0.189 0.065 0.962
10 O 0.189 0.435 0.462
11 O 0.263 0.652 0.406
12 O 0.263 0.848 0.906
13 O 0.306 0.222 0.295
14 O 0.306 0.278 0.795
15 O 0.498 0.069 0.662
16 O 0.498 0.431 0.162
17 O 0.502 0.569 0.838
18 O 0.502 0.931 0.338
19 O 0.694 0.722 0.205
20 O 0.694 0.778 0.705
21 O 0.737 0.152 0.094
22 O 0.737 0.348 0.594
23 O 0.811 0.565 0.538
24 O 0.811 0.935 0.038
25 F 0.039 0.598 0.961
26 F 0.039 0.902 0.461
27 F 0.961 0.098 0.539
28 F 0.961 0.402 0.039
+++
Varanus Island behind the platforms |
By mid morning we are racing 12 miles abeam Barrow island with the wind freshening again and showing no signs of abating. The seas were building too, Ashiki was getting the occasional slap by quartering waves. By lunchtime the next Island coming into view is Varanus Island. This name is known to just about everybody in Perth because a certain explosion that happened there 2 years ago. The gas refinery on the island is connected to Perth via a 1,400km pipeline. The explosion caused gas shortages all over Perth that summer and the resource company were quite tight lipped over the cause. Subsequent investigation showed the cause was simple enough. Where the pipeline left the island and entered the sea water no maintenance was carried out. It rusted through, gas leaked and caused the massive explosion. Yes my friends, the island was run by dunces.
**Next to the piece, the page also holds calculated crystals**
=====
Record 1
The following is a calculated X-ray powder pattern of AgPbI6. It was derived from the GGA-PBE geometry in OQMD, using copper Kα.
Intensities are scaled so that the largest is 100.

The 10 most intense peaks (2θ from 10° to 80°), sorted by position:
Position (°2θ), d_spacing, I (rel.), h k l
14.05, 6.304, 35, 1 1 1
27.09, 3.292, 27, 3 1 1
28.32, 3.152, 100, 2 2 2
32.81, 2.730, 82, 4 0 0
35.85, 2.505, 15, 3 3 1
47.08, 1.930, 59, 4 4 0
55.86, 1.646, 44, 6 2 2
58.57, 1.576, 20, 4 4 4
75.98, 1.252, 18, 6 6 2
78.33, 1.221, 26, 8 4 0

Cell and atoms:
Cell: 10.9184 10.9184 10.9184 Å, 90.00 90.00 90.00°
Space group F-43m (No. 216)
Unique sites:
Ag  0.0000  0.0000  0.0000
Pb  0.2500  0.2500  0.2500
I  0.0000  0.0000  0.2556

Record 2
The following is a calculated X-ray powder pattern of GdY2In3Cu3. It was derived from the GGA-PBE geometry in OQMD, using copper Kα.
Intensities are scaled so that the largest is 100.

The 10 most intense peaks (2θ from 10° to 80°), sorted by position:
Position (°2θ), d_spacing, I (rel.), h k l
33.11, 2.706, 100, 1 0 2
35.93, 2.500, 77, 1 4 0
36.41, 2.468, 57, 0 1 3
41.50, 2.176, 29, 0 6 0
43.44, 2.083, 23, 1 4 2
46.74, 1.944, 22, 2 0 0
56.03, 1.641, 15, 1 2 4
60.65, 1.527, 25, 2 1 3
64.26, 1.450, 15, 2 6 0
66.96, 1.398, 28, 1 1 5

Cell and atoms:
Cell: 3.8872 13.0508 7.5412 Å, 90.00 90.00 90.00°
Space group Amm2 (No. 38)
Unique sites:
Gd  0.0000  0.0000  0.0000
Y  0.0000  0.2046  0.3859
In  0.5000  0.0000  0.3350
In  0.5000  0.1281  0.7174
Cu  0.0000  0.0000  0.5899
Cu  0.5000  0.1670  0.0899

Record 3
The following is a calculated X-ray powder pattern of KRbAg2P2. It was derived from the GGA-PBE geometry in OQMD, using copper Kα.
Intensities are scaled so that the largest is 100.

The 10 most intense peaks (2θ from 10° to 80°), sorted by position:
Position (°2θ), d_spacing, I (rel.), h k l
11.51, 7.687, 100, 0 0 1
30.42, 2.939, 90, 1 1 1
30.60, 2.922, 35, 1 0 2
35.02, 2.562, 17, 0 0 3
36.68, 2.450, 68, 1 1 2
40.10, 2.249, 48, 2 0 0
54.28, 1.690, 18, 2 0 3
55.90, 1.645, 23, 1 1 4
66.92, 1.398, 20, 3 1 1
70.62, 1.334, 18, 3 1 2

Cell and atoms:
Cell: 4.4972 4.4972 7.6873 Å, 90.00 90.00 90.00°
Space group P4mm (No. 99)
Unique sites:
K  0.0000  0.0000  0.0000
Rb  0.5000  0.5000  0.3122
Ag  0.0000  0.5000  0.6677
P  0.0000  0.0000  0.4934
P  0.5000  0.5000  0.8421

Record 4
The following is a calculated X-ray powder pattern of YTmSnC. It was derived from the GGA-PBE geometry in OQMD, using copper Kα.
Intensities are scaled so that the largest is 100.

The 10 most intense peaks (2θ from 10° to 80°), sorted by position:
Position (°2θ), d_spacing, I (rel.), h k l
16.91, 5.242, 4, 0 0 3
28.64, 3.117, 25, 1 0 0
33.45, 2.679, 100, 1 0 3
34.21, 2.621, 19, 0 0 6
45.20, 2.006, 18, 1 0 6
50.73, 1.800, 21, 1 1 0
60.77, 1.524, 18, 1 0 9
62.13, 1.494, 17, 2 0 3
62.62, 1.484, 21, 1 1 6
70.27, 1.340, 5, 2 0 6

Cell and atoms:
Cell: 3.5994 3.5994 15.7250 Å, 90.00 90.00 120.00°
Space group P-6m2 (No. 187)
Unique sites:
=====
On the way we saw our first dugong in almost its entirety, not just a head disappearing into the drink. It was a little like a dolphin but flubbier with a fleshy tail and without dorsal fin. Also saw a huge sea snake floating by, looking at us then wiggled away.
It was midday, we had been sailing for 8 hours and as per usual, Susie was doing the bulk of the steering, mainly because she loves it, we were holding over 5 knots and flying! I’m thinking a mid afternoon arrival at Montebello, cool! We made the waypoint taking us to the northern edge of the Varanus prohibited zone (greedy buggers) and turned from a northerly to a north-west course, a broad reach. Ashiki accelerated to 6 - 6.8 knots, hitting 7 at times, with a following sea making the ride that little more exciting. Oil and gas platforms dotting the horizon to the right and the left of us, like the cover of a Dune novel (spice sands!).. I reefed down 2 panels each sail just to keep her more controllable. The calms never came, the wind was 20 to 25 knots all day, what a difference that makes.
Before long we were within the Montebello archipelago having come in on one of the leads recommended in the pilot and sticking to our rather convoluted track on the plotter, mainly to skirt the unsurveyed areas. Still with sail up, we were gliding to windward at 4.5 to 5 knots over relatively smooth protected water marvelling at the many islands. This place is much more scenic than the Abrolhos, no low lying islands here, more substantial hilly terrain and sandstone cliffs instead. An hour later we had cruised through the heads of a lagoon entrance were dropping anchor in 5.5 metres. It was 3pm, less than 11 hours to sail 52 nautical miles. If sailed at yesterday’s rate (light winds and adverse current), it would be a 17 hour trip, so today’s sail was very nice indeed.
Ashiki (that's the red arrow) zooming between the platforms. Yes, that's her speed, going a little slower at that point.. |
Unrelated to this article: calculated crystals.
~~~
[1]
Starting from a DFT-relaxed cell (GGA-PBE, Alexandria), the XRD peak list of CaTlCl2 was computed for Cu Kα (weighted mean of Kα1 and Kα2).
Kinematic intensities with the Lorentz-polarization factor, no thermal factor.

Main lines, most intense first (10° ≤ 2θ ≤ 90°):
2θ/deg  d_spacing  I (rel.)
26.0  3.423  100
26.5  3.360  96
34.9  2.567  81
17.3  5.137  73
49.1  1.854  42
39.2  2.296  40
28.4  3.143  38
45.6  1.988  35

Structural model:
```
data_CaTlCl2
_cell_length_a 3.9756
_cell_length_b 3.9756
_cell_length_c 30.8220
_cell_angle_alpha 90.00
_cell_angle_beta 90.00
_cell_angle_gamma 120.00
_space_group_name_H-M_alt 'R -3 m'
_space_group_IT_number 166
_space_group_name_Hall '-R 3 2"'
loop_
_atom_site_label
_atom_site_type_symbol
_atom_site_fract_x
_atom_site_fract_y
_atom_site_fract_z
Ca1 Ca 0.0000 0.0000 0.0000
Tl1 Tl 0.0000 0.0000 0.5000
Cl1 Cl 0.0000 0.0000 0.3814
```

---

[2]
Starting from a DFT-relaxed cell (GGA-PBE, Alexandria), the XRD peak list of CaTmCl was computed for Cu Kα (weighted mean of Kα1 and Kα2).
Kinematic intensities with the Lorentz-polarization factor, no thermal factor.

Main lines, most intense first (10° ≤ 2θ ≤ 90°):
2θ/deg  d_spacing  I (rel.)
34.2  2.624  100
28.5  3.131  72
12.3  7.209  68
31.1  2.872  66
50.5  1.808  31
42.6  2.121  31
60.5  1.531  28
53.2  1.721  27

Structural model:
```
data_CaTmCl
_cell_length_a 14.4172
_cell_length_b 3.6158
_cell_length_c 6.2622
_cell_angle_alpha 90.00
_cell_angle_beta 90.00
_cell_angle_gamma 90.00
_space_group_name_H-M_alt 'A m m 2'
_space_group_IT_number 38
_space_group_name_Hall 'A 2 -2'
loop_
_atom_site_label
_atom_site_type_symbol
_atom_site_fract_x
_atom_site_fract_y
_atom_site_fract_z
Ca1 Ca 0.0000 0.0000 0.0000
Ca2 Ca 0.5000 0.0000 0.3343
Tm1 Tm 0.2937 0.0000 0.0009
Cl1 Cl 0.1453 0.0000 0.3336
```

---

[3]
Starting from a DFT-relaxed cell (GGA-PBE, Alexandria), the XRD peak list of Ca2WCl2 was computed for Cu Kα (weighted mean of Kα1 and Kα2).
Kinematic intensities with the Lorentz-polarization factor, no thermal factor.

Main lines, most intense first (10° ≤ 2θ ≤ 90°):
2θ/deg  d_spacing  I (rel.)
27.8  3.213  100
31.2  2.868  77
21.0  4.240  47
49.8  1.830  39
38.1  2.361  39
40.5  2.226  34
28.4  3.148  29
56.9  1.619  24

Structural model:
```
data_Ca2WCl2
_cell_length_a 4.4516
_cell_length_b 4.4516
_cell_length_c 13.9223
_cell_angle_alpha 90.00
_cell_angle_beta 90.00
_cell_angle_gamma 90.00
_space_group_name_H-M_alt 'I 4/m m m'
_space_group_IT_number 139
_space_group_name_Hall '-I 4 2'
loop_
_atom_site_label
_atom_site_type_symbol
_atom_site_fract_x
_atom_site_fract_y
_atom_site_fract_z
Ca1 Ca 0.0000 0.0000 0.1285
W1 W 0.0000 0.0000 0.5000
Cl1 Cl 0.0000 0.5000 0.2500
```

---

[4]
Starting from a DFT-relaxed cell (GGA-PBE, Alexandria), the XRD peak list of CaWCl was computed for Cu Kα (weighted mean of Kα1 and Kα2).
Kinematic intensities with the Lorentz-polarization factor, no thermal factor.

Main lines, most intense first (10° ≤ 2θ ≤ 90°):
~~~
The article goes on.
Termite Island, Montebello Islands Group |
Termite Island anchorage, the 2 knot current. |